Memo field connected with check box
Posted: Sat May 31, 2008 9:20 pm
I simulate the check box example inside fwbrow.prg in \fwh\samples directory. The same code was imitated but with failure. It is not wotking .
No data tranfered from the checkbox to the field of the dbf. I use tdata class.
Also I need to connect a check box option with memo field . as in the third answer of that question :
### Someone pasted records of molecules at this point
~~~
Density functional theory data (ωB97M-V with the def2-TZVPD basis set) for C27H19BrI2IrNOSi as an isolated structure.

Output
**Charge**: +1
**ΔE to the lowest compared entry with this formula, charge and spin**: 1.100 eV
**Multiplicity**: 2
**E_LUMO (alpha / beta)**: -4.4487 / -5.5905 eV
**Expectation value of S²**: 0.76

Last column: Löwdin spin population.
Cartesian coordinates (Å):
Ir1 -0.40 -1.29 -1.53  0.56
I1 4.10 -0.46 -3.92  0.01
C1 2.39 0.69 -3.75  0.04
C2 2.31 1.96 -4.37  -0.01
C3 1.21 2.77 -4.24  0.04
I2 1.20 4.62 -5.19  0.01
C4 0.10 2.34 -3.46  0.00
C5 -1.09 3.05 -3.20  0.02
C6 -2.07 2.51 -2.40  0.00
C7 -1.90 1.24 -1.85  0.02
N1 -0.80 0.54 -2.10  0.00
C8 0.20 1.07 -2.88  0.00
C9 1.33 0.25 -3.01  -0.01
O1 1.29 -0.93 -2.34  0.13
H1 3.15 2.30 -4.96  0.00
H2 -1.22 4.04 -3.64  0.00
H3 -2.98 3.05 -2.19  0.00
H4 -2.64 0.78 -1.22  0.00
C10 3.30 2.04 2.14  0.00
C11 3.16 1.80 0.78  0.00
C12 2.16 0.95 0.32  0.00
C13 1.30 0.32 1.21  0.01
C14 1.45 0.57 2.58  0.00
C15 2.44 1.42 3.04  0.00
Si1 -0.08 -0.85 0.79  0.03
C16 -1.74 -0.14 1.21  0.01
C17 -2.87 -0.95 1.37  0.00
C18 -4.11 -0.39 1.63  0.00
C19 -4.24 0.99 1.73  0.00
C20 -3.13 1.81 1.56  0.00
C21 -1.89 1.25 1.30  0.00
C22 0.21 -2.57 1.42  0.01
C23 -0.41 -3.04 2.58  0.00
C24 -0.14 -4.31 3.05  0.00
C25 0.73 -5.14 2.36  0.00
C26 1.35 -4.69 1.21  0.00
C27 1.10 -3.41 0.74  0.00
H5 4.08 2.70 2.50  0.00
H6 3.83 2.28 0.07  0.00
H7 2.08 0.77 -0.74  0.00
H8 0.80 0.09 3.30  0.00
H9 2.55 1.60 4.10  0.00
H10 -2.78 -2.03 1.28  0.00
H11 -4.98 -1.03 1.76  0.00
H12 -5.21 1.42 1.94  0.00
H13 -3.23 2.88 1.65  0.00
H14 -1.03 1.89 1.19  0.00
H15 -1.10 -2.40 3.13  0.00
H16 -0.62 -4.66 3.96  0.00
H17 0.93 -6.14 2.73  0.00
H18 2.04 -5.34 0.67  0.00
H19 1.61 -3.07 -0.15  0.00
Br1 -1.74 -3.13 -2.12  0.15

---

Density functional theory data (ωB97M-V with the def2-TZVPD basis set) for C27H20AsN3O9OsS2 as an isolated structure.

Output
**ΔE to the lowest compared entry with this formula, charge and spin**: 1.605 eV
**E_LUMO (alpha / beta)**: -2.5981 / -2.5762 eV

Last column: natural (NBO) charge in e.
Cartesian coordinates (Å):
Os1 -0.33 -0.30 0.11  0.89
O1 3.95 0.31 4.58  -0.44
C1 3.13 0.23 3.72  0.39
C2 1.65 -0.18 3.92  0.38
O2 1.11 -0.44 4.96  -0.47
C3 1.06 -0.12 2.56  0.30
C4 2.04 0.25 1.59  0.20
O3 1.71 0.36 0.37  -0.53
C5 3.34 0.54 2.23  0.39
O4 4.34 0.96 1.72  -0.49
O5 -0.14 -0.25 2.22  -0.61
C6 -0.69 4.58 -2.50  -0.42
N1 -0.62 3.67 -1.38  -0.38
C7 -0.75 4.05 0.01  -0.31
C8 -0.59 2.72 0.71  0.68
O6 -0.61 2.56 1.90  -0.55
N2 -0.46 1.73 -0.26  -0.60
C9 -0.41 2.36 -1.46  0.69
N3 -0.13 1.75 -2.61  -0.77
H1 -1.09 5.53 -2.15  0.23
H2 -1.37 4.20 -3.26  0.22
H3 0.29 4.76 -2.94  0.21
H4 -1.72 4.48 0.23  0.24
H5 0.04 4.74 0.32  0.24
H6 0.16 0.78 -2.58  0.44
H7 -0.06 2.28 -3.46  0.42
O7 1.22 -2.22 0.00  -0.92
S1 0.07 -2.79 -0.71  2.24
O8 0.19 -4.09 -1.27  -0.90
O9 -1.09 -2.54 0.20  -0.91
S2 -0.37 -1.30 -2.10  -0.46
C10 -4.37 3.46 -2.20  -0.22
C11 -4.30 3.53 -0.82  -0.22
C12 -3.85 2.43 -0.09  -0.25
~~~
How many years did you work :
[] one
[] Two
[] Other
I simulate the check box example inside fwbrow.prg in \fwh\samples directory. The same code was imitated but with failure. It is not wotking .
No data tranfered from the checkbox to the field of the dbf. I use tdata class.
Also I need to connect a check box option with memo field . as in the third answer of that question :
How many years did you work :
[] one
[] Two
[] Other
Code: Select all
method edit(oBrw) CLASS Taplicant
local oDlg,oBtn,oFont
local oaplicant:= TRecord():new( self )
local lelected:="E" $ oaplicant:Chosen
local lappointed:="A" $ oaplicant:Chosen
local lOther:="O" $ oaplicant:Chosen
if ::lAdd
DEFINE DIALOG oDlg FROM 8, 2 TO 725,1050 PIXEL ;
TITLE if(::lAdd,"Untitled","Update") ;
*DEFINE FONT oFont NAME "Times New Roman" SIZE 0,-12 OF oDlg
@ 1,2 SAY "&Survey ID" OF oDlg PIXEL
@ 1,50 SAY ":" OF oDlg PIXEL
@ 1,60 GET oaplicant:survey_no OF oDlg pict "99999" PIXEL UPDATE
@ 20,1 SAY "Association Name" OF oDlg PIXEL
@ 20,50 SAY ":" OF oDlg PIXEL
@ 20,60 GET oaplicant:ass_name OF oDlg PIXEL UPDATE
@ 40,1 SAY "Contacy Name" OF oDlg PIXEL
@ 40,50 SAY ":" OF oDlg PIXEL
@ 60,1 SAY "Last" OF oDlg PIXEL
@ 60,50 SAY ":" OF oDlg PIXEL
@ 60,60 GET oaplicant:cnt_last OF oDlg PIXEL UPDATE
@ 60,160 SAY "First" OF oDlg PIXEL
@ 60,210 SAY ":" OF oDlg PIXEL
@ 60,220 GET oaplicant:cnt_first OF oDlg PIXEL UPDATE
@ 60,320 SAY "Middle" OF oDlg PIXEL
@ 60,370 SAY ":" OF oDlg PIXEL
@ 60,380 GET oaplicant:cnt_middle OF oDlg PIXEL UPDATE
@ 80,1 SAY "Position Title Within Association" OF oDlg PIXEL
@ 80,80 SAY ":" OF oDlg PIXEL
@ 80,90 GET oaplicant:title OF oDlg PIXEL UPDATE
@ 100,1 SAY "Association Address1 " OF oDlg PIXEL
@ 100,80 SAY ":" OF oDlg PIXEL
@ 100,90 GET oaplicant:adres1 OF oDlg PIXEL UPDATE
@ 120,1 SAY " Address2" OF oDlg PIXEL
@ 120,80 SAY ":" OF oDlg PIXEL
@ 120,90 GET oaplicant:adres2 OF oDlg PIXEL UPDATE
@ 140,1 SAY " Address3" OF oDlg PIXEL
@ 140,80 SAY ":" OF oDlg PIXEL
@ 140,90 GET oaplicant:adres3 OF oDlg PIXEL UPDATE
@ 160,10 TO 240, 100 LABEL "Chairperson Chosen by:" OF oDlg PIXEL
@ 180,20 CHECKBOX lElected PROMPT "&Elected" OF oDlg PIXEL
@ 200,20 CHECKBOX lAppointed PROMPT "&Appointed" OF oDlg PIXEL
@ 220,20 CHECKBOX lOther PROMPT "&Others" OF oDlg PIXEL
? lElected
oaplicant:Chosen := If( lElected, "E", "" ) + ;
If( lAppointed, "A", "" ) + ;
If( lOther, "O", "" )
@ 280, 10 BUTTON oBtn PROMPT "&Save" OF oDlg PIXEL SIZE 30, 12 ;
ACTION ( oaplicant:save(), oDlg:end() )
@ 280, 50 BUTTON oBtn PROMPT "&Cancel" OF oDlg PIXEL SIZE 30, 12 ;
ACTION ( oDlg:end() )
return self